Tuesday the 2nd of September was Keera’s first day of school, where has the time gone? She’s already in grade 1. I was pretty proud of myself, this year I wasn’t an emotional wreck. She’s different this year, more mature, a different attitude, a different walk, and talk.
She is more in control, last year her confidence wasn’t very high. It wasn’t anything she had done it’s what I didn’t do, yes I taught her things to develop her. I’d compliment and praise her when she did something good, I would teach her things. I just didn’t do
I didn’t put Keera in a daycare, or playschool, not even a preschool program. The only time she really interacted with kids, other than her siblings was when she
Even then you could tell that she didn’t quite know how to interact with them. Once again nothing she had done, just something I failed to do. It’s probably a mistake that a lot of first time parents make. We want to keep our “baby” with us as much as possible, because we don’t want to miss out on anything.
I just can’t help but wonder, how different she’d be if I had let her experience those things.
Is it absolutely necessary to put your child in these programs before school? No of course not but it is critical for their confidence that if you don’t you put them in an extracurricular activity. It teaches kids how to interact with other children their own age, it teaches them how to make friends.
I see such a difference in Keera this year, she was actually excited to go on the bus the first day no tears, nothing negative. Once she got home she was happy about school, talking about how some of her friends from last year are in her class, I love hearing that kind of stuff! I will always be there for my daughter, but I realize that what I did was put my own selfish needs ahead of hers.
It’s only been 4 days since school started, but even tonight she told me she can’t wait to see her friends at school on Monday. I love seeing that she’s excited to go to school, and that’s why this time I’m doing things different
== Attached: calculated molecules ==
=====
DFT (ωB97M-V with the def2-TZVPD basis set) results for C6H12O in the gas phase.

## Properties
Spin multiplicity ... 1
ΔE to the lowest compared entry with this formula, charge and spin ... 105.8 kJ/mol
Calculated total energy ... -8463.257 eV
HOMO-LUMO gap ... 0.3840 hartree

Bonds (Å) are listed after each position.
Atoms and positions in Å:
1 C 2.40 0.09 0.76  C2 1.529, H8 1.095, H9 1.096, H10 1.095
2 C 1.26 -0.55 -0.03  C1 1.529, C3 1.521, H11 1.094, H12 1.097
3 C 0.25 0.47 -0.53  C2 1.521, C4 1.513, C5 1.510, H13 1.090
4 C -0.76 0.16 -1.60  C3 1.513, C5 1.489, H14 1.087, H15 1.085
5 C -1.22 0.38 -0.20  C3 1.510, C4 1.489, C6 1.511, O7 1.404
6 C -1.79 -0.77 0.59  C5 1.511, H16 1.094, H17 1.098, H18 1.095
7 O -1.92 1.59 -0.01  C5 1.404, H19 0.966
8 H 2.97 -0.66 1.32  C1 1.095
9 H 2.02 0.83 1.47  C1 1.096
10 H 3.09 0.61 0.09  C1 1.095
11 H 0.75 -1.28 0.61  C2 1.094
12 H 1.67 -1.13 -0.86  C2 1.097
13 H 0.62 1.50 -0.57  C3 1.090
14 H -0.82 -0.86 -1.99  C4 1.087
15 H -0.98 0.93 -2.32  C4 1.085
16 H -2.85 -0.87 0.36  C6 1.094
17 H -1.68 -0.60 1.67  C6 1.098
18 H -1.30 -1.73 0.36  C6 1.095
19 H -1.73 1.89 0.89  O7 0.966


ORCA calculation (ωB97M-V/def2-TZVPD) on a molecular structure, C29H25ClN4ORuSSe in a non-equilibrium geometry.

```
63
Properties=species:S:1:pos:R:3:forces:R:3
Ru -0.327360 0.192124 -1.930506 0.73 0.97 0.87
Cl 3.575030 5.224977 1.495755 0.43 0.16 0.29
C 2.959830 3.992388 0.488579 -0.88 0.01 -0.48
C 3.761066 2.961001 -0.023649 -0.11 -0.20 0.54
C 3.283880 1.953269 -0.818149 1.98 -0.71 0.21
C 1.943236 1.947224 -1.151638 -0.20 -0.21 0.23
O 1.531087 0.915647 -1.838006 -0.98 -0.66 -0.52
C 1.110420 2.995805 -0.661081 1.10 -0.76 -0.05
C -0.255297 2.995152 -0.891800 -1.77 1.38 1.14
N -1.039111 2.006625 -1.215295 1.41 -0.12 -0.96
C -2.390280 2.246128 -1.532986 0.80 -1.32 0.73
C -3.108206 3.189177 -0.922360 -1.49 1.93 0.66
C -4.486160 3.369546 -1.330420 1.38 0.01 0.55
C -4.984650 2.519131 -2.257700 -2.77 -1.18 -0.08
C -4.270284 1.362184 -2.733495 -1.78 1.35 -1.19
C -4.752911 0.491379 -3.748018 2.49 -1.04 1.24
C -3.891616 -0.530387 -4.180447 -3.45 1.07 -0.99
C -2.680660 -0.689518 -3.619644 3.00 -1.52 0.32
N -2.189566 0.162490 -2.743907 -0.48 1.36 0.70
C -2.976993 1.252578 -2.347795 2.10 -1.11 -0.10
C 1.618868 4.027959 0.161955 1.72 -1.21 -0.74
H 4.756000 2.813375 0.318054 0.85 0.53 0.23
H 4.035698 1.107936 -1.055238 -1.76 1.42 0.03
H -0.690827 3.995153 -0.598775 -0.04 -1.13 -0.72
H -2.646359 3.833608 -0.122697 -0.74 -0.70 -1.06
H -5.045276 4.173280 -0.860380 -0.15 -0.24 -0.29
H -6.094028 2.503498 -2.506903 1.58 0.51 0.15
H -5.738362 0.546332 -4.096608 -1.21 0.28 -0.62
H -4.266092 -1.155537 -4.975432 0.26 -0.37 0.05
H -1.965758 -1.540216 -3.854957 -1.38 1.05 0.02
H 1.005866 4.789612 0.552656 -0.75 0.77 0.29
S 0.366290 -1.672723 -3.042515 0.62 -0.75 -0.14
C 1.835997 -2.224420 -2.275966 -0.19 0.65 0.37
N 2.797204 -2.806401 -3.048122 -0.54 0.38 1.72
C 3.927054 -3.244646 -2.480195 -0.36 -0.59 1.36
C 4.160439 -3.150768 -1.131076 -1.00 0.99 -0.35
=====
We got Zaden registered for preschool before summer started, the requirements were he had to be at least 3 years old, and potty trained. Since he just turned 3 in June, all we had to do was get him potty trained. It was a slow beginning but I’m extremely proud to say that in the last few weeks of August he really caught on and he’s fully potty trained during the day. No pull-ups either, just underwear! Yippee. We are still working on the night time, but he’s doing really well with that too.
He had his first official day at preschool alone on Thursday the 4th and I almost cried. The only thing that stopped me, was knowing that I wasn’t going to be putting him through what I did with Keera. I’m so glad that he’s in preschool, it gives him much-needed interaction with other kids his age, he gets to learn new things, he gets to be himself. When we picked him up later Thursday afternoon he was excited, so proud he had completed a craft, and that the kids he had met at Tuesday’s preschool orientation were there and that he had got to play with them. I want my kids to enjoy school and learning, I want them to want to learn and not be afraid of new experiences. That is what is giving me so much more happiness.